You can make IT in IT!
Habit Career Academy is a chance to learn more about the possible career paths and how to land your first job in the IT.
Why you should take this course?
The goal of Habit Career Academy is to set a clear path to finding the first job in IT industry through career management training, preparing for the job application and providing support in future career development.
- SHORTEN YOUR JOB SEARCH by using tools and strategies that make you stand out from the other candidates.
- GET A BETTER JOB by learning how to present your value to any potential employer.
- HANDLE ANY INTERVIEW and challenge, adopt the necessary soft skills to avoid any misunderstanding during the hiring process.
- GAIN CONFIDENCE IN YOUR SKILLS and talk freely about your accomplishments.
- LEARN HOW TO NEGOTIATE a higher base salary and other benefits in order to be paid for what you deserve!
Intro, Career Awareness and Personality Assessment
You will gain knowledge about popular technologies, types of jobs, and the possibility of employment in the IT industry. What are the skills required? What qualifications do you need to have?
Career awareness means you have to be knowledgeable about the career and job you want to have.
We'll be assessing your personality type, education, experience, interests, career values, skills, abilities and work style.
By assessing these, we'll be able to realize what occupations could match your skills, interests and preferences.
Self Branding
In this workshop, you'll get to know how to brand yourself, present your unique value proposition and adapt messaging to the target audience.
- CV
- LinkedIn profile
- Cover Letter
Goal Setting – Create Career Plan
It's time to set a clear goal — one that reflects what you really want from your career. During goal setting, we'll consider these two things:
- results of your assessment
- the information obtained about career possibilities
**Attached: records of crystals**
┌──
(1)
# Li2V3O6 (GGA+U, relaxed)
data_Li2V3O6
_cell_length_a 5.100
_cell_length_b 5.216
_cell_length_c 10.039
_cell_angle_alpha 80.09
_cell_angle_beta 86.44
_cell_angle_gamma 61.10
_space_group_name_H-M_alt 'P -1'
_space_group_IT_number 2
_space_group_name_Hall '-P 1'
loop_
_atom_site_label
_atom_site_fract_x
_atom_site_fract_y
_atom_site_fract_z
Li1 0.146 0.175 0.499
Li2 0.160 0.674 0.001
V1 0.160 0.915 0.251
V2 0.175 0.415 0.751
V3 0.495 0.254 0.251
O1 0.144 0.298 0.143
O2 0.146 0.042 0.860
O3 0.150 0.809 0.640
O4 0.151 0.559 0.360
O5 0.484 0.615 0.143
O6 0.486 0.890 0.353
# - Relative energy among the computed polymorphs: 10 meV/atom
# - ΔE_f: -2461 meV per atom
# - Size of the total moment: 5.00 μB per formula unit
# - ρ: 3.8 g cm⁻³

***

(2)
# LiCr2P3O12 (GGA+U, relaxed)
data_LiCr2P3O12
_cell_length_a 14.740
_cell_length_b 8.507
_cell_length_c 8.610
_cell_angle_alpha 90.00
_cell_angle_beta 124.05
_cell_angle_gamma 90.00
_space_group_name_H-M_alt 'C 1 c 1'
_space_group_IT_number 9
_space_group_name_Hall 'C -2yc'
loop_
_atom_site_label
_atom_site_fract_x
_atom_site_fract_y
_atom_site_fract_z
Li1 0.000 0.162 0.000
Cr1 0.207 0.249 0.376
Cr2 0.412 0.244 0.020
P1 0.169 0.112 0.704
P2 0.307 0.462 0.197
P3 0.447 0.111 0.687
O1 0.050 0.304 0.224
O2 0.065 0.196 0.657
O3 0.148 0.066 0.203
O4 0.189 0.140 0.549
O5 0.220 0.356 0.194
O6 0.247 0.440 0.521
O7 0.263 0.173 0.896
O8 0.356 0.178 0.495
O9 0.374 0.445 0.885
O10 0.397 0.355 0.210
O11 0.426 0.139 0.838
O12 0.462 0.068 0.182
# - Relative energy among the computed polymorphs: 15 meV/atom
# - ΔE_f: -2452 meV per atom
# - Size of the total moment: 4.00 μB per formula unit
# - ρ: 2.9 g cm⁻³

***

(3)
# Ba8Fe8O21 (GGA+U, relaxed)
data_Ba8Fe8O21
_cell_length_a 5.744
_cell_length_b 5.783
_cell_length_c 19.040
_cell_angle_alpha 97.62
_cell_angle_beta 90.67
_cell_angle_gamma 119.40
_space_group_name_H-M_alt 'P -1'
_space_group_IT_number 2
_space_group_name_Hall '-P 1'
loop_
_atom_site_label
_atom_site_fract_x
_atom_site_fract_y
_atom_site_fract_z
Ba1 0.000 0.000 0.000
Ba2 0.000 0.500 0.500
Ba3 0.247 0.124 0.627
Ba4 0.252 0.632 0.128
Ba5 0.500 0.252 0.254
Fe1 0.102 0.012 0.804
Fe2 0.142 0.578 0.314
Fe3 0.386 0.715 0.944
Fe4 0.427 0.215 0.431
O1 0.000 0.500 0.000
O2 0.007 0.247 0.759
O3 0.017 0.274 0.253
O4 0.225 0.606 0.627
O5 0.242 0.358 0.383
O6 0.244 0.870 0.874
O7 0.254 0.883 0.377
O8 0.263 0.145 0.124
O9 0.490 0.244 0.751
O10 0.500 0.000 0.000
O11 0.500 0.000 0.500
O12 0.500 0.500 0.000
O13 0.500 0.500 0.500
# - Relative energy among the computed polymorphs: 314 meV/atom
# - ΔE_f: -1907 meV per atom
# - Size of the total moment: 38.00 μB per formula unit
# - ρ: 5.7 g cm⁻³

***

(4)
# BaVZnF7 (GGA+U, relaxed)
data_BaVZnF7
_cell_length_a 5.671
_cell_length_b 10.106
_cell_length_c 9.700
_cell_angle_alpha 90.00
_cell_angle_beta 92.83
_cell_angle_gamma 90.00
_space_group_name_H-M_alt 'P 1 21/c 1'
_space_group_IT_number 14
_space_group_name_Hall '-P 2ybc'
loop_
_atom_site_label
_atom_site_fract_x
└──
Combining the two will help us identify possible career directions and how to make the first step. We are setting a clear target where you need to arrive in the future.
Interview Simulation and Job Hunting
Job hunting plan and interview simulation, where we precisely define and going through all of the steps you will take in order to achieve your goals!
Intro, Career Awareness and Personality Assessment
Attendees will gain knowledge about popular technologies, types of jobs, and the possibility of employment in the IT industry. What are the skills required? What qualifications do you need to have?
Career awareness means you have to be knowledgeable about the career and job you want to have.
We'll be assessing your personality type, education, experience, interests, career values, skills, abilities and work style.
By assessing these, we'll be able to realize what occupations could match your skills, interests and preferences.
Goal Setting – Create Career Plan
It's time to set a clear goal — one that reflects what you really want from your career. During goal setting, we'll consider these two things:
- results of your assessment
- the information obtained about career possibilities
Combining the two will help us identify possible career directions and how to make the first step. We are setting a clear target where you need to arrive in the future.
Self Branding
In this workshop, you'll get to know how to brand yourself, present your unique value proposition and adapt messaging to the target audience.
- CV
- LinkedIn profile
- Cover Letter
Interview Simulation and Job Hunting
Job hunting plan and interview simulation, where we precisely define all of the steps you will take in order to achieve your goals!
Habit Career Academy is made up of 4 separate workshops (3+ hours each) with homework’s, additional literature and support during the course as well as after it’s finished.
After finishing Habit Career Academy you will be able to:
**Calculated crystals that have nothing to do with the piece:**
........
No. 1
# TiS2O8 (PBE, relaxed)
# Energy relative to the lowest polymorph listed for this composition, eV per atom: 0.000
# Calculated formation energy, eV per atom: -2.215
# Crystal system: trigonal
# E_tot, eV per atom: -6.784
data_TiS2O8
_cell_length_a 8.3756
_cell_length_b 8.3756
_cell_length_c 22.4431
_cell_angle_alpha 90.00
_cell_angle_beta 90.00
_cell_angle_gamma 120.00
_space_group_name_H-M_alt 'R 3'
_space_group_IT_number 146
_space_group_name_Hall 'R 3'
loop_
_atom_site_label
_atom_site_fract_x
_atom_site_fract_y
_atom_site_fract_z
Ti1 0.0000 0.0000 0.0000
Ti2 0.0000 0.0000 0.2093
Ti3 0.0000 0.0000 0.4953
S1 0.0516 0.3830 0.7688
S2 0.0536 0.6752 0.2714
O1 0.0112 0.1932 0.1588
O2 0.0123 0.1952 0.4438
O3 0.0119 0.8128 0.5468
O4 0.0760 0.2168 0.0525
O5 0.0865 0.2363 0.7572
O6 0.1582 0.6983 0.9240
O7 0.1805 0.7364 0.6177
O8 0.1840 0.7513 0.3183

No. 2
# Li5Mg (PBE, relaxed)
# Energy relative to the lowest polymorph listed for this composition, eV per atom: 0.000
# Calculated formation energy, eV per atom: -0.023
# Crystal system: trigonal
# E_tot, eV per atom: -1.880
data_Li5Mg
_cell_length_a 5.2724
_cell_length_b 5.2724
_cell_length_c 14.9972
_cell_angle_alpha 90.00
_cell_angle_beta 90.00
_cell_angle_gamma 120.00
_space_group_name_H-M_alt 'R 3 2'
_space_group_IT_number 155
_space_group_name_Hall 'R 3 2"'
loop_
_atom_site_label
_atom_site_fract_x
_atom_site_fract_y
_atom_site_fract_z
Li1 0.0000 0.0000 0.1667
Li2 0.0000 0.6674 0.0000
Mg1 0.0000 0.0000 0.5000

No. 3
# MgAl (PBE, relaxed)
# Calculated formation energy, eV per atom: 0.038
# Crystal system: hexagonal
# E_tot, eV per atom: -2.634
data_MgAl
_cell_length_a 3.0226
_cell_length_b 3.0226
_cell_length_c 4.9200
_cell_angle_alpha 90.00
_cell_angle_beta 90.00
_cell_angle_gamma 120.00
_space_group_name_H-M_alt 'P -6 m 2'
_space_group_IT_number 187
_space_group_name_Hall 'P -6 2'
loop_
_atom_site_label
_atom_site_fract_x
_atom_site_fract_y
_atom_site_fract_z
Mg1 0.0000 0.0000 0.0000
Al1 0.3333 0.6667 0.5000

Q: Among the records above, which one has the lowest calculated formation energy?
A: TiS2O8

~~~~~

# 1
Below is a relaxed CdS crystal, with properties calculated at the PBE level.

a b c (Å): 4.256 4.256 5.921
angles (deg): 90.00 90.00 120.00
Atoms (fractional coordinates):
1 Cd 0.000 0.000 0.000
2 S 0.667 0.333 0.972

Calculated values
energy with MP2020 corrections: -3.16 eV per atom
ΔH_f (0 K): -14.56 kcal/mol of atoms
size of the total moment: 0.000 μB/cell
raw total energy: -2.91 eV/atom
symmetry: P3m1
piezoelectric modulus e_max: 0.57 C/m2

# 2
Below is a relaxed Cd2SeS crystal, with properties calculated at the PBE level.

a b c (Å): 4.298 4.298 7.008
angles (deg): 90.00 90.00 120.00
Atoms (fractional coordinates):
1 Cd 0.000 0.000 0.000
2 Cd 0.333 0.667 0.519
3 Se 0.333 0.667 0.136
4 S 0.000 0.000 0.632

Calculated values
energy with MP2020 corrections: -3.11 eV per atom
ΔH_f (0 K): -17.14 kcal/mol of atoms
size of the total moment: 0.000 μB/cell
raw total energy: -2.99 eV/atom
........
Explore and recognize your interests, needs, knowledge, skills and abilities, and apply them to the modern-day job market. You will be able to:
- Set career path goals and create a career plan
- Use various job hunting methods and strategies
- Put together efficient job application – LinkedIn profile, CV, cover letter and to adapt all this to the job you’re hunting
- Be the best version of yourself during any job interview
Records of crystals, kept here for reference >
#a
Below is an optimized crystal structure of FeN3Cl5, with properties calculated at the PBE level.

Values from the calculation:
Space group: Pnma, No. 62
V in Å³/cell: 912
Theoretical density in g cm⁻³: 2.00

a = 7.1076 Å, b = 8.1941 Å, c = 15.6668 Å
α = 90.00°, β = 90.00°, γ = 90.00°
Fractional coordinates of all 36 atoms:
Fe1 0.8669 0.7500 0.4274
Fe2 0.6331 0.7500 0.9274
Fe3 0.1331 0.2500 0.5726
Fe4 0.3669 0.2500 0.0726
N1 0.9864 0.7500 0.5077
N2 0.5136 0.7500 0.0077
N3 0.0136 0.2500 0.4923
N4 0.4864 0.2500 0.9923
N5 0.7849 0.9210 0.1643
N6 0.7151 0.5790 0.6643
N7 0.2151 0.4210 0.8357
N8 0.2849 0.0790 0.3357
N9 0.2151 0.0790 0.8357
N10 0.2849 0.4210 0.3357
N11 0.7849 0.5790 0.1643
N12 0.7151 0.9210 0.6643
Cl1 0.7181 0.7500 0.1826
Cl2 0.7819 0.7500 0.6826
Cl3 0.2819 0.2500 0.8174
Cl4 0.2181 0.2500 0.3174
Cl5 0.8097 0.4914 0.3953
Cl6 0.6903 0.0086 0.8953
Cl7 0.1903 0.9914 0.6047
Cl8 0.3097 0.5086 0.1047
Cl9 0.1903 0.5086 0.6047
Cl10 0.3097 0.9914 0.1047
Cl11 0.8097 0.0086 0.3953
Cl12 0.6903 0.4914 0.8953
Cl13 0.5820 0.7500 0.4795
Cl14 0.9180 0.7500 0.9795
Cl15 0.4180 0.2500 0.5205
Cl16 0.0820 0.2500 0.0205
Cl17 0.0753 0.7500 0.3264
Cl18 0.4247 0.7500 0.8264
Cl19 0.9247 0.2500 0.6736
Cl20 0.5753 0.2500 0.1736

***

#b
Below is an optimized crystal structure of FeN3Cl5, with properties calculated at the PBE level.

Values from the calculation:
Space group: Pnma, No. 62
V in Å³/cell: 1130
Theoretical density in g cm⁻³: 1.62

a = 8.7282 Å, b = 8.7537 Å, c = 14.7855 Å
α = 90.00°, β = 90.00°, γ = 90.00°
Fractional coordinates of all 36 atoms:
Fe1 0.2500 0.8107 0.3884
Fe2 0.2500 0.3107 0.1116
Fe3 0.7500 0.1893 0.6116
Fe4 0.7500 0.6893 0.8884
N1 0.2500 0.0408 0.8615
N2 0.2500 0.5408 0.6385
N3 0.7500 0.9592 0.1385
N4 0.7500 0.4592 0.3615
N5 0.1181 0.7999 0.6937
N6 0.3819 0.2999 0.8063
N7 0.6181 0.2001 0.3063
N8 0.8819 0.7001 0.1937
N9 0.8819 0.2001 0.3063
N10 0.6181 0.7001 0.1937
N11 0.3819 0.7999 0.6937
N12 0.1181 0.2999 0.8063
Cl1 0.2500 0.8123 0.2445
Cl2 0.2500 0.3123 0.2555
Cl3 0.7500 0.1877 0.7555
Cl4 0.7500 0.6877 0.7445
Cl5 0.2500 0.4969 0.0197
Cl6 0.2500 0.9969 0.4803
Cl7 0.7500 0.5031 0.9803
Cl8 0.7500 0.0031 0.5197
Cl9 0.2500 0.6969 0.6719
Cl10 0.2500 0.1969 0.8281
Cl11 0.7500 0.3031 0.3281
Cl12 0.7500 0.8031 0.1719
Cl13 0.0340 0.7109 0.4172
Cl14 0.4660 0.2109 0.0828
Cl15 0.5340 0.2891 0.5828
Cl16 0.9660 0.7891 0.9172
Cl17 0.9660 0.2891 0.5828
Cl18 0.5340 0.7891 0.9172
Cl19 0.4660 0.7109 0.4172
Cl20 0.0340 0.2109 0.0828

***

How do the energies compare? Relative to the most stable structure, in meV per atom: #a 0; #b 112.

***

#a
Below is an optimized crystal structure of Gd2SCl4, with properties calculated at the PBE level.

Values from the calculation:
Space group: P-1, No. 2
V in Å³/cell: 445
Theoretical density in g cm⁻³: 3.64

a = 6.7417 Å, b = 7.5669 Å, c = 9.4876 Å
α = 80.57°, β = 110.80°, γ = 89.97°
Fractional coordinates of all 14 atoms:
Gd1 0.6170 0.3185 0.7223
Gd2 0.8937 0.1818 0.2780
Gd3 0.1063 0.8182 0.7220
- Score your first job in the IT industry
Habit Career Academy can be organized individually or in groups.
Considering the fact that I’m in a business of connecting tech talents and software companies, have a good knowledge of the job market and actively cooperate with multiple software companies, you can expect a help with finding a job.